Note: In addition to the honor reported below, read about how The Neighbor Project’s precursor, Emmanuel House, was named one of the Top 100 Most Innovative social change organizations in world in 2016, and how executive director Rick Guzman was recognized as the Emerging Leader of the Year in 2023. These and many other honors and accomplishments mark The Neighbor Project as one of the finest organizations of its kind in the world.
Here the entry breaks off for records of molecules:
____________
Below is a cluster of 2 separate species, C3H7P in total at a distorted geometry, with properties calculated with the ωB97M-V functional and the def2-TZVPD basis.

```
11
Properties=species:S:1:pos:R:3:forces:R:3:mulliken_charge:R:1
C 0.432910 -1.842650 0.260736 0.8235 0.2983 -0.0189 -0.524
C -0.583215 -0.833759 0.698953 1.1392 -0.8748 -0.8980 -0.304
C -0.081076 2.004480 -0.196492 0.0164 0.4813 0.7541 -0.885
P -1.184630 -1.879414 -0.597404 -0.5809 1.2040 -2.1247 -0.106
H 1.389095 -1.530725 -0.161415 -0.4180 0.4211 -0.3742 0.241
H 0.681302 -2.736898 0.842130 -0.6096 0.1759 0.2184 0.270
H -0.895997 -0.711524 1.690903 -0.5214 0.5371 1.1273 0.376
H 0.617405 2.362255 -0.938577 -0.0907 -0.2795 -0.4925 0.306
H 0.451587 1.991925 0.797986 -1.5036 -0.0797 -0.9270 0.297
H -1.173352 2.178856 -0.431621 1.5223 -0.4013 0.8787 0.293
H -1.072156 -0.877156 -1.838143 0.2227 -1.4825 1.8568 0.034
```
Positions in Å, forces in eV/Å.

As for the energy: -459.6359 Eh. The HOMO energy (spin up / spin down) is -8.837 / -8.502 eV. As for the net charge: 0. The spin multiplicity is 1. The HOMO-LUMO gap (spin up / spin down) is 8.5 / 8.6 eV.

* * * * *

The following is a DFT calculation (the ωB97M-V functional and the def2-TZVPD basis) of an isolated molecule of C3H4O2.

```
9
Properties=species:S:1:pos:R:3:mulliken_charge:R:1
O -2.75 -0.01 -0.11 -0.452
C -1.68 0.28 0.34 -0.183
C -0.45 0.48 -0.47 0.217
C 0.81 -0.15 -0.02 -0.358
O 0.59 1.21 0.12 -0.387
H -1.51 0.42 1.42 0.318
H -0.60 0.63 -1.54 0.369
H 0.81 -0.72 0.90 0.228
H 1.54 -0.45 -0.77 0.248
```

As for the total charge: 0. The SMILES is O=C[C@@H]1CO1. As for the spin multiplicity: 1.

The following is a DFT calculation (the ωB97M-V functional and the def2-TZVPD basis) of an isolated molecule of C3H4O2.

```
9
Properties=species:S:1:pos:R:3:mulliken_charge:R:1
C 1.76 -0.14 0.08 -0.821
C 0.42 -0.34 -0.04 0.006
O -0.37 0.74 -0.14 -0.282
C -1.62 0.45 0.10 0.190
O -2.09 -0.71 -0.03 -0.546
H 2.29 -1.01 0.08 0.308
H 2.13 0.91 -0.07 0.248
H -0.25 -1.16 -0.20 0.470
H -2.26 1.26 0.23 0.427
```

As for the total charge: 0. The SMILES is C=COC=O. As for the spin multiplicity: 1.

Calculated strongest force on any atom (Eh/bohr), listed in the same order as above: 0.0266 0.1089
Calculated frontier orbital gap (eV), listed in the same order as above: 11.019 10.641
____________
Here the entry continues:
The VIDEO below shows around 15 minutes of a 34 minute news conference announcing another momentous event for The Neighbor Project (TNP): receiving a $2 million grant from Yield Giving, the organization of billionaire philanthropist MacKenzie Scott. I urge you to watch a video of the entire press conference because what’s been left out may be as important as what’s been left in.

The story took up much of the front page of Tribune-owned Aurora Beacon and was widely covered in Chicagoland media. Go to the Yield Giving website for more coverage, as well as this group’s philosophy on giving and who to give to. Yield Giving was established by MacKenzie Scott.
TNP’s executive director Rick Guzman announces the award and details the selection process before turning things over to four staff members who read some of the criteria for the award and some comments from peer reviewers who graded TNP on how well they met those criteria. I fade out after David Blancas, Chief Equity and Operating Officer, opens his remarks on how peers graded TNP on equity. During her portion of the news conference Cynthia Rica, Networked Savings Program Manager, read a review which said every community should have a program like TNP. Miguel Rivera, Director of Property Management and Real Estate, read a review saying, “It was really a pleasure to read this application” because of the talent and deep knowledge of the staff. So in the interest of time only Jerria Donelson’s remarks were fully included. Jerria has been with TNP for a long time, even during the years when it was just Emmanuel House. She read comments asking how well the community was represented in TNP organization, included those who had been in its programs. Jerria was a graduate who has risen to a manager position, Homebuying Counselor Program Manager. She’s brought other family members and friends into TNP’s programs. It was a moving tribute from a long-time friend. “The Neighbor Project has brought generational wealth into my family,” she said.
Rick Guzman’s comments were marked by five words: “gratitude,” “responsibility,” “leverage,” “investment,” and “partnerships.” “We can’t afford to lose a penny,” he says. “We don’t just plan to double this money’s effects but to grow it exponentially.” He’ll do it partially by investing in the partners that helped get TNP where it is today, partners like The Community Fund, the City of Aurora, and The Dunham Foundation. His gratitude to them glowed. “We literally would not exist without the Dunham Fund. It was the Dunham Fund that suggested Emmanuel House and The Joseph Corporation merge [to form The Neighbor Project], then gave us a grant that put us on a firm financial footing.” In giving thanks for partners and saying a substantial part of this $2 million was going to be invested in them, Guzman also talked about the programs it has started with those partners. For example, with the Community Fund there is now a Closing the Gap program, aimed at giving extra help to bridge people into home ownership, and in particular aimed at closing the immense racial wealth gap between whites and blacks.
Again, what’s been left out may be as important as what’s been left in, so you’re urged to watch the video of the entire news conference. You may also look at TNP’s full, written press release on The Neighbor Project website, or Here on this site.
In his thank you’s Rick acknowledges his wife Desiree, who co-founded Bryan House with Rick nearly two decades ago as a living memorial to Rick’s youngest brother Bryan Emmanuel Guzman. He acknowledges his step-mom, Linda, my wife. And me, too: “his greatest cheerleader.” In the toast ending the conference he thanks TNP’s newest donor, MacKenzie Scott.
This award is the third major award for the Emmanuel House / The Neighbor Project organization. In 2016 Emmanuel House was named one of the “Top 100 Most Innovative” Social Change Organizations” in the world. In 2023, Rick Guzman received the “Emerging Leader Award” from the national Neighbor Works organization. And now this. The Neighbor Project is now consistently regarded as one of the finest organizations of its kind in the nation, but one of Guzman’s favorite lines is that it’s an organization that wants to “flip the script.” For all its honors it’s the people it serves that are the real heroes, the real leaders helping to create real wealth and stability for the marginalized in our society.
♦ I also left out of the video below Rick Guzman’s “90-second elevator speech,” which was a requirement of the grant application. It is essentially a shortened version of his 2023 TNP Gala talk which I posted on this site under the title “The Affordable Housing Crisis.” Watch it for an important take on what’s wrong with “affordable housing.”